Friday, September 29, 2023



    Black and pretty

Black and pretty oh so very lovely

What a beauty look at you just heavenly

Outstanding gorgeous breathtaking a real cutie 

You are making other girls worry about your beauty

Go and ask your mommy she will tell you sweetie

Daddy is telling you that you are black and pretty

Black and pretty yes you are indeed remarkable baby

Really you are baby you are pretty as your dolly 

Black and pretty so wonderful so lovely

So angelic just heavenly oh look at you my baby

So pretty breathtaking outstanding a true cutie

Little girl believe your daddy you are black and pretty

Go on ask your mommy she will agree with daddy

Daddy is telling you that you are black and pretty

Black and pretty you truly are my wonderful baby

Data records from another source follow
........
No. 1
The following is a theoretical X-ray diffraction stick pattern of GdDyAlCo2. It was derived from a DFT-relaxed cell (GGA-PBE, OQMD), using Cu Kα (weighted mean of Kα1 and Kα2).
No peak broadening, texture or thermal motion is included.

The 10 most intense peaks (2θ from 10° to 90°), in order of falling intensity:
2θ/deg	d [Å]	I/Imax
35.0	2.563	100
27.5	3.245	69
39.4	2.285	47
39.3	2.294	42
41.4	2.182	35
36.2	2.482	28
44.9	2.018	28
70.0	1.344	28
61.3	1.512	25
55.4	1.658	17

Structural model:
```
5
Lattice="-2.018 2.728 4.181 2.018 -2.728 4.181 2.018 2.728 -4.181" Properties=species:S:1:pos:R:3 pbc="T T T"
Gd 0.000 0.000 0.000
Dy 0.000 0.000 4.947
Al 2.018 0.000 2.475
Co 2.018 1.221 -1.711
Co 0.000 1.507 2.470
```

---

No. 2
The following is a theoretical X-ray diffraction stick pattern of Er3Si2Ni4Ge2. It was derived from a DFT-relaxed cell (GGA-PBE, OQMD), using Cu Kα (weighted mean of Kα1 and Kα2).
No peak broadening, texture or thermal motion is included.

The 10 most intense peaks (2θ from 10° to 90°), in order of falling intensity:
2θ/deg	d [Å]	I/Imax
35.9	2.505	100
37.6	2.395	85
45.9	1.978	36
45.3	2.000	33
29.3	3.049	26
36.1	2.485	26
24.0	3.704	23
66.5	1.406	23
40.4	2.235	16
81.9	1.177	16

Structural model:
```
11
Lattice="-2.000 3.309 6.704 2.000 -3.309 6.704 2.000 3.309 -6.704" Properties=species:S:1:pos:R:3 pbc="T T T"
Er 0.000 0.000 0.000
Er 2.000 0.000 4.971
Er 0.000 3.309 1.732
Si 0.000 0.000 2.917
Si 0.000 0.000 10.491
Ni 2.000 1.297 -2.443
Ni 2.000 1.297 2.443
Ni 0.000 2.011 4.261
Ni 0.000 2.011 9.147
Ge 2.000 2.014 0.000
Ge 0.000 1.295 6.704
```

---

No. 3
The following is a theoretical X-ray diffraction stick pattern of GdYZr2Bi2. It was derived from a DFT-relaxed cell (GGA-PBE, OQMD), using Cu Kα (weighted mean of Kα1 and Kα2).
No peak broadening, texture or thermal motion is included.

The 10 most intense peaks (2θ from 10° to 90°), in order of falling intensity:
2θ/deg	d [Å]	I/Imax
36.1	2.485	100
41.7	2.168	55
31.0	2.883	51
29.1	3.066	45
33.5	2.673	41
72.4	1.305	27
21.2	4.200	26
31.6	2.829	25
53.2	1.721	23
54.5	1.684	21

Structural model:
```
6
Lattice="-2.168 2.168 8.486 2.168 -2.168 8.486 2.168 2.168 -8.486" Properties=species:S:1:pos:R:3 pbc="T T T"
Gd 0.000 0.000 0.000
Y 0.000 0.000 10.983
Zr 2.168 0.000 5.489
Zr 0.000 2.168 5.489
Bi 0.000 0.000 3.214
Bi 0.000 0.000 7.763
```
........

You are pretty as your dolly yes you are sweetie

Smile baby am taking a photogenic perfect picture

Black and pretty picture perfect look at it so lovely

Yes you are black and pretty baby

Black and pretty, pretty, pretty.

Anthony S.Phillander©29092023

Saturday, September 16, 2023



     A delicious dish

On the menu you presents mouthwatering possibilities

You looks edible you look savory my palette’s hungry

I can feast on you for eternity my appetite I cannot satiate

I am salivating thinking of partaking in this banquet 

What an exquisite delicious dish you can fulfill my culinary wish

My eyes are overwhelmed you are truly an inviting buffet

My tongue will have a party in my mouth my taste will shout

Stop giggling I will begin by nibbling on your ear

I saw you and I saw mouthwatering possibilities 

You are a delicious main course you are not a side dish 

I will relish feasting on such a delicious dish what a treat

I cannot wait to grab a bite sink my teeth and begin my feast

You can fulfill my culinary wish what an exquisite dish

A mouthwatering sumptuous inviting exquisite lavish banquet 

I will be nibbling you will be giggling and tickling my palette 

I am famished I will be happily eating to my heart’s content 

You can fulfill any connoisseurs wish what a delicious dish 

I am relishing partaking in the bounty of your delicious feast

Mouthwatering you are a mouthwatering delicious dish.

Anthony S.Phillander©16092023

Tuesday, September 12, 2023



       A bag of sugar

She’s got a bag of sugar

A little sugar that’s all I want from her

For a little sugar she’s making me suffer

From her bag she won’t even give me a little sugar

She’s got more sugar than she will ever need

No matter how hard I beg and plead she’s so mean

A little sugar she’s finding it so hard to give

From her bag a little sugar she won’t even offer to me

She’s got a bag of sugar 

From her bag not much all I want is just a little

Making me suffer how I hunger for a little of her sugar

From her bag of sugar she won’t share a little with me 

She’s got enough sugar to sweeten the whole city

Begging and pleading still to me she’s being so mean

Just a little sugar she’s finding it so very hard to give

From her bag of sugar not much a little will sweeten my coffee

Look at her she’s got a whole bag of sugar 

I know she won’t miss it if she gives me a little

Pretty please from your bag can I have some sugar please? 

A whole bag she’s got a bag of sugar

Look at her she’s so darn sweet.

Anthony S.Phillander©10092023

Thursday, September 07, 2023



Talkers are imaginary illusionist

All of their dreams remains mirages in the distance

Because of their lack of action

Talkers are deadweights their tongues are all they activate

Talkers are pots they are always sitting on their bottoms 

Talkers the only action they perform is wagging their tongues

Talkers their actions are like the dinosaur it’s extinct

Talkers are rock solid they will not move from where they are planted 

Talkers are like a well laid foundation movement is out of the question

Talkers are in possession of a natural aversion to action

Talkers talks a good game it’s their execution that pulls up lame

Talkers are like a silent night their tongue are the only thing that whispers

Talkers revels in armchair commentary the thrill of battlefield victory 

They will never see

Talkers got a millstone around their minds it never inspire them to action

Talkers excels at sitting they are always failing to take action 

Talkers are armchair warriors reveling in victory from the comfort of their easy chair  

Talkers are full of hot air for taking action they lacks the hardware

Talkers are the architects of illusion in reality they never begin construction

Pipe dreamers that’s another name that can be interchanged for talkers

Talkers are pipe dreamers.

Anthony S.Philllander©07092023 


        Incompetence Incompetence is inefficient in its disguise as intelligence Flamboyant and grandiose as it displays its ignorance ...